{"formula": "C6H38O13", "method": "ωB97M-V/def2-TZVPD", "species": ["O", "H", "H", "O", "H", "H", "O", "H", "H", "O", "H", "H", "O", "H", "H", "O", "H", "H", "O", "H", "H", "O", "H", "H", "O", "H", "H", "O", "H", "H", "C", "C", "O", "H", "H", "H", "H", "H", "H", "C", "C", "O", "H", "H", "H", "H", "H", "H", "C", "C", "O", "H", "H", "H", "H", "H", "H"], "positions_angstrom": [[1.75, 4.86, -0.22], [2.67, 5.02, -0.42], [1.52, 4.07, -0.71], [3.21, -1.33, 0.43], [3.26, -0.58, 1.02], [3.59, -1.02, -0.39], [3.63, 1.33, 1.59], [3.22, 2.06, 1.13], [4.40, 1.71, 2.01], [-3.31, -1.51, 0.97], [-3.18, -0.61, 1.27], [-4.19, -1.51, 0.59], [1.26, 2.91, -1.77], [1.79, 2.28, -2.25], [0.49, 3.05, -2.31], [-1.05, 3.13, 4.40], [-1.69, 2.80, 5.03], [-1.02, 2.46, 3.72], [-0.80, 3.86, 1.12], [-0.03, 4.16, 0.65], [-0.83, 2.92, 0.96], [-0.63, -4.14, 1.29], [-0.96, -4.86, 1.83], [-0.14, -3.59, 1.90], [-3.09, 2.29, 1.70], [-3.89, 2.45, 1.20], [-2.42, 2.81, 1.26], [-1.83, -1.91, 3.55], [-2.75, -1.64, 3.48], [-1.87, -2.73, 4.05], [1.23, -2.79, -2.04], [2.58, -3.46, -1.93], [2.95, -3.80, -0.62], [0.55, -3.40, -1.44], [0.96, -2.81, -3.10], [1.01, -1.78, -1.70], [3.43, -2.89, -2.30], [2.51, -4.41, -2.47], [3.06, -3.01, -0.08], [0.02, 0.82, 0.45], [0.43, 0.35, 1.83], [-0.56, 0.67, 2.76], [0.59, 0.19, -0.24], [0.32, 1.86, 0.32], [-1.00, 0.56, 0.17], [1.26, 0.97, 2.17], [0.65, -0.72, 1.78], [-0.93, -0.19, 2.96], [-1.40, -0.75, -2.82], [-2.15, -0.65, -4.11], [-1.81, 0.59, -4.70], [-1.58, 0.06, -2.12], [-0.34, -0.75, -3.08], [-1.62, -1.73, -2.39], [-3.21, -0.84, -3.96], [-1.89, -1.44, -4.81], [-2.15, 0.60, -5.60]], "mulliken_charge": [-0.701, 0.298, 0.366, -0.630, 0.293, 0.243, -0.582, 0.278, 0.267, -0.573, 0.302, 0.274, -0.616, 0.265, 0.282, -0.647, 0.286, 0.373, -0.674, 0.346, 0.345, -0.562, 0.280, 0.277, -0.540, 0.274, 0.331, -0.566, 0.275, 0.248, -0.174, -0.585, -0.588, 0.234, 0.306, -0.211, 0.324, 0.297, 0.486, 0.359, -0.045, -0.249, -0.166, -0.422, 0.187, 0.056, 0.255, 0.160, -0.613, -0.529, -0.526, 0.163, 0.103, 0.424, 0.320, 0.331, 0.297], "e_homo_ev": -9.48, "total_energy_ev": -33454.5004, "de_lowest_kcal_mol": 46.68, "charge": 0, "orbital_gap_ev": 9.362}

~~~~~

Below is 2 unconnected molecules or ions with the total composition C4H8O2, with properties calculated with the ωB97M-V functional and the def2-TZVPD basis.

Values from the calculation:
HOMO energy: -9.44 eV
Spin multiplicity: 1
Relative energy (zero: lowest compared OMol25 entry of this formula, charge and spin): 2.8889 eV
E_tot: -8370.393 eV
SMILES string: CO/C=C\C=O.[H][H]

Positions of all 14 atoms, in Å:
C 1.99336 0.47732 -0.44719
O 0.59406 0.68553 -0.35837
C 0.02107 0.32570 0.80092
C -1.30543 0.18788 0.94220
C -2.24631 0.35562 -0.16993
O -3.45217 0.29279 -0.04699
H 2.34274 1.04197 -1.31089
H 2.22052 -0.58382 -0.59035
H 2.50300 0.83943 0.45249
H 0.70633 0.17053 1.63726
H -1.71363 -0.06444 1.91420
H -1.78727 0.53579 -1.16077
H 0.33079 -2.25848 -1.05534
H -0.20705 -2.00582 -0.60723

Please write out the notes further up without additions.

{"formula": "C6H38O13", "method": "ωB97M-V/def2-TZVPD", "species": ["O", "H", "H", "O", "H", "H", "O", "H", "H", "O", "H", "H", "O", "H", "H", "O", "H", "H", "O", "H", "H", "O", "H", "H", "O", "H", "H", "O", "H", "H", "C", "C", "O", "H", "H", "H", "H", "H", "H", "C", "C", "O", "H", "H", "H", "H", "H", "H", "C", "C", "O", "H", "H", "H", "H", "H", "H"], "positions_angstrom": [[1.75, 4.86, -0.22], [2.67, 5.02, -0.42], [1.52, 4.07, -0.71], [3.21, -1.33, 0.43], [3.26, -0.58, 1.02], [3.59, -1.02, -0.39], [3.63, 1.33, 1.59], [3.22, 2.06, 1.13], [4.40, 1.71, 2.01], [-3.31, -1.51, 0.97], [-3.18, -0.61, 1.27], [-4.19, -1.51, 0.59], [1.26, 2.91, -1.77], [1.79, 2.28, -2.25], [0.49, 3.05, -2.31], [-1.05, 3.13, 4.40], [-1.69, 2.80, 5.03], [-1.02, 2.46, 3.72], [-0.80, 3.86, 1.12], [-0.03, 4.16, 0.65], [-0.83, 2.92, 0.96], [-0.63, -4.14, 1.29], [-0.96, -4.86, 1.83], [-0.14, -3.59, 1.90], [-3.09, 2.29, 1.70], [-3.89, 2.45, 1.20], [-2.42, 2.81, 1.26], [-1.83, -1.91, 3.55], [-2.75, -1.64, 3.48], [-1.87, -2.73, 4.05], [1.23, -2.79, -2.04], [2.58, -3.46, -1.93], [2.95, -3.80, -0.62], [0.55, -3.40, -1.44], [0.96, -2.81, -3.10], [1.01, -1.78, -1.70], [3.43, -2.89, -2.30], [2.51, -4.41, -2.47], [3.06, -3.01, -0.08], [0.02, 0.82, 0.45], [0.43, 0.35, 1.83], [-0.56, 0.67, 2.76], [0.59, 0.19, -0.24], [0.32, 1.86, 0.32], [-1.00, 0.56, 0.17], [1.26, 0.97, 2.17], [0.65, -0.72, 1.78], [-0.93, -0.19, 2.96], [-1.40, -0.75, -2.82], [-2.15, -0.65, -4.11], [-1.81, 0.59, -4.70], [-1.58, 0.06, -2.12], [-0.34, -0.75, -3.08], [-1.62, -1.73, -2.39], [-3.21, -0.84, -3.96], [-1.89, -1.44, -4.81], [-2.15, 0.60, -5.60]], "mulliken_charge": [-0.701, 0.298, 0.366, -0.630, 0.293, 0.243, -0.582, 0.278, 0.267, -0.573, 0.302, 0.274, -0.616, 0.265, 0.282, -0.647, 0.286, 0.373, -0.674, 0.346, 0.345, -0.562, 0.280, 0.277, -0.540, 0.274, 0.331, -0.566, 0.275, 0.248, -0.174, -0.585, -0.588, 0.234, 0.306, -0.211, 0.324, 0.297, 0.486, 0.359, -0.045, -0.249, -0.166, -0.422, 0.187, 0.056, 0.255, 0.160, -0.613, -0.529, -0.526, 0.163, 0.103, 0.424, 0.320, 0.331, 0.297], "e_homo_ev": -9.48, "total_energy_ev": -33454.5004, "de_lowest_kcal_mol": 46.68, "charge": 0, "orbital_gap_ev": 9.362}

~~~~~

Below is 2 unconnected molecules or ions with the total composition C4H8O2, with properties calculated with the ωB97M-V functional and the def2-TZVPD basis.

Values from the calculation:
HOMO energy: -9.44 eV
Spin multiplicity: 1
Relative energy (zero: lowest compared OMol25 entry of this formula, charge and spin): 2.8889 eV
E_tot: -8370.393 eV
SMILES string: CO/C=C\C=O.[H][H]

Positions of all 14 atoms, in Å:
C 1.99336 0.47732 -0.44719
O 0.59406 0.68553 -0.35837
C 0.02107 0.32570 0.80092
C -1.30543 0.18788 0.94220
C -2.24631 0.35562 -0.16993
O -3.45217 0.29279 -0.04699
H 2.34274 1.04197 -1.31089
H 2.22052 -0.58382 -0.59035
H 2.50300 0.83943 0.45249
H 0.70633 0.17053 1.63726
H -1.71363 -0.06444 1.91420
H -1.78727 0.53579 -1.16077
H 0.33079 -2.25848 -1.05534
H -0.20705 -2.00582 -0.60723